Listing =
~~~
Record 1
DFT (GGA-PBE) results for a relaxed structure of MgTa2In.

Its energy of formation is 69.9 kJ/mol of formula units. For the total magnetization, the calculation gives 0.000 μB/f.u.

Cell: 3.9412 4.1647 4.6552 Å, 90.00 90.00 90.00°
Space group Pmmm (No. 47)
Symmetry-distinct sites (fractional):
Mg 0.0000 0.0000 0.0000
Ta 0.0000 0.5000 0.5000
Ta 0.5000 0.0000 0.5000
In 0.5000 0.5000 0.0000

***

Record 2
DFT (GGA-PBE) results for a relaxed structure of MgTa2In.

Its energy of formation is 115.0 kJ/mol of formula units. For the total magnetization, the calculation gives 0.000 μB/f.u.

Cell: 3.3519 4.9486 9.4831 Å, 90.00 90.00 90.00°
Space group Imm2 (No. 44)
Symmetry-distinct sites (fractional):
Mg 0.0000 0.0000 0.0000
Ta 0.0000 0.0000 0.4837
Ta 0.0000 0.5000 0.7612
In 0.0000 0.5000 0.2457

***

Record 3
DFT (GGA-PBE) results for a relaxed structure of MgTa2In.

Its energy of formation is 57.5 kJ/mol of formula units. For the total magnetization, the calculation gives 0.000 μB/f.u.

Cell: 3.5222 3.5222 6.4817 Å, 90.00 90.00 90.00°
Space group P4mm (No. 99)
Symmetry-distinct sites (fractional):
Mg 0.0000 0.0000 0.0000
Ta 0.0000 0.0000 0.4553
Ta 0.5000 0.5000 0.2728
In 0.5000 0.5000 0.7424

***

Record 4
DFT (GGA-PBE) results for a relaxed structure of MgTa2In.

Its energy of formation is 65.3 kJ/mol of formula units. For the total magnetization, the calculation gives 0.000 μB/f.u.

Cell: 4.0589 4.0589 9.2576 Å, 90.00 90.00 90.00°
Space group I4/mmm (No. 139)
Symmetry-distinct sites (fractional):
Mg 0.0000 0.0000 0.0000
Ta 0.0000 0.5000 0.2500
In 0.0000 0.0000 0.5000

***

Record 5
DFT (GGA-PBE) results for a relaxed structure of MgTaIn2.

Its energy of formation is 115.1 kJ/mol of formula units. For the total magnetization, the calculation gives 0.000 μB/f.u.

Cell: 3.2498 5.2246 10.0084 Å, 90.00 90.00 90.00°
Space group Immm (No. 71)
Symmetry-distinct sites (fractional):
Mg 0.0000 0.0000 0.0000
Ta 0.0000 0.0000 0.5000
In 0.0000 0.5000 0.2451

***

Record 6
DFT (GGA-PBE) results for a relaxed structure of MgTaIn3.

Its energy of formation is 334.0 kJ/mol of formula units. The energy above the most stable polymorph in this dataset is 0.0 kJ per mole of atoms. For the total magnetization, the calculation gives 0.000 μB/f.u.

Cell: 5.4219 5.4219 5.4219 Å, 90.00 90.00 90.00°
Space group Pm-3m (No. 221)
Symmetry-distinct sites (fractional):
Mg 0.0000 0.0000 0.0000
Ta 0.5000 0.5000 0.5000
In 0.0000 0.5000 0.5000

***

Record 7
DFT (GGA-PBE) results for a relaxed structure of MgTaIn3.

Its energy of formation is 629.0 kJ/mol of formula units. The energy above the most stable polymorph in this dataset is 59.0 kJ per mole of atoms. For the total magnetization, the calculation gives 0.000 μB/f.u.

Cell: 5.1447 5.1447 5.1447 Å, 90.00 90.00 90.00°
Space group Pm-3m (No. 221)
Symmetry-distinct sites (fractional):
Mg 0.0000 0.0000 0.0000
Ta 0.5000 0.5000 0.5000
In 0.0000 0.0000 0.5000

***

Record 8
DFT (GGA-PBE) results for a relaxed structure of MgTaIn2.

Its energy of formation is 93.8 kJ/mol of formula units. For the total magnetization, the calculation gives 0.004 μB/f.u.

Cell: 3.0148 4.7166 5.9450 Å, 90.00 90.06 90.00°
Space group P2/m (No. 10)
Symmetry-distinct sites (fractional):
Mg 0.0000 0.0000 0.0000
Ta 0.5000 0.0000 0.5000
In 0.0037 0.5000 0.7366

***

Record 9
DFT (GGA-PBE) results for a relaxed structure of MgTa2In.

Its energy of formation is 73.0 kJ/mol of formula units. For the total magnetization, the calculation gives 0.000 μB/f.u.

Cell: 2.9227 2.9227 9.2619 Å, 90.00 90.00 90.00°
Space group P4mm (No. 99)
Symmetry-distinct sites (fractional):
Mg 0.0000 0.0000 0.0000
Ta 0.0000 0.0000 0.4902
Ta 0.5000 0.5000 0.2481
In 0.5000 0.5000 0.7375

***

Record 10
DFT (GGA-PBE) results for a relaxed structure of MgTaIn4.

Its energy of formation is 294.9 kJ/mol of formula units. For the total magnetization, the calculation gives 0.483 μB/f.u.

Cell: 8.1748 8.1748 8.1748 Å, 90.00 90.00 90.00°
Space group F-43m (No. 216)
~~~
What to do =
What is needed: filter the listing earlier on: keep the lines with the word "mole".
Outcome =
Its energy of formation is 334.0 kJ/mol of formula units. The energy above the most stable polymorph in this dataset is 0.0 kJ per mole of atoms. For the total magnetization, the calculation gives 0.000 μB/f.u.
Its energy of formation is 629.0 kJ/mol of formula units. The energy above the most stable polymorph in this dataset is 59.0 kJ per mole of atoms. For the total magnetization, the calculation gives 0.000 μB/f.u.